### Contents
'''
Y2Tm12Pu: computed powder diffraction line list (Cu Ka), based on a GGA-PBE-relaxed structure.
Intensities are scaled so that the largest is 100.

Most intense lines, 2θ = 15–90°, in order of rising 2θ:
d [Å], I_rel
4.212, 90
2.811, 77
2.733, 94
2.678, 100
2.492, 83
2.248, 88

Crystal structure
Lattice parameters (Å, degrees): 6.358 6.358 24.088 90.00 90.00 90.00
Sites, in units of the cell vectors:
1 Y 0.250 0.750 0.228
2 Y 0.250 0.750 0.772
3 Y 0.750 0.250 0.228
4 Y 0.750 0.250 0.772
5 Tm 0.000 0.000 0.396
6 Tm 0.000 0.000 0.604
7 Tm 0.000 0.500 0.396
8 Tm 0.000 0.500 0.604
9 Tm 0.081 0.581 0.062
10 Tm 0.081 0.919 0.938
11 Tm 0.250 0.250 0.162
12 Tm 0.250 0.250 0.291
13 Tm 0.250 0.250 0.709
14 Tm 0.250 0.250 0.838
15 Tm 0.419 0.581 0.938
16 Tm 0.419 0.919 0.062
17 Tm 0.500 0.000 0.396
18 Tm 0.500 0.000 0.604
19 Tm 0.500 0.500 0.396
20 Tm 0.500 0.500 0.604
21 Tm 0.581 0.081 0.938
22 Tm 0.581 0.419 0.062
23 Tm 0.750 0.750 0.162
24 Tm 0.750 0.750 0.291
25 Tm 0.750 0.750 0.709
26 Tm 0.750 0.750 0.838
27 Tm 0.919 0.081 0.062
28 Tm 0.919 0.419 0.938
29 Pu 0.250 0.750 0.500
30 Pu 0.750 0.250 0.500


Y8Tm4Pu: computed powder diffraction line list (Cu Ka), based on a GGA-PBE-relaxed structure.
Intensities are scaled so that the largest is 100.

Most intense lines, 2θ = 15–90°, in order of rising 2θ:
d [Å], I_rel
3.127, 17
2.985, 21
2.851, 100
2.717, 31
2.297, 35
1.818, 30

Crystal structure
Lattice parameters (Å, degrees): 9.890 9.890 9.890 43.14 43.14 43.14
Sites, in units of the cell vectors:
1 Y 0.204 0.743 0.743
2 Y 0.219 0.219 0.219
3 Y 0.257 0.257 0.796
4 Y 0.257 0.796 0.257
5 Y 0.743 0.204 0.743
6 Y 0.743 0.743 0.204
7 Y 0.781 0.781 0.781
8 Y 0.796 0.257 0.257
9 Tm 0.000 0.000 0.000
10 Tm 0.000 0.500 0.500
11 Tm 0.500 0.000 0.500
12 Tm 0.500 0.500 0.000
13 Pu 0.500 0.500 0.500


TmPuZn17: computed powder diffraction line list (Cu Ka), based on a GGA-PBE-relaxed structure.
Intensities are scaled so that the largest is 100.

Most intense lines, 2θ = 15–90°, in order of rising 2θ:
d [Å], I_rel
3.139, 38
2.589, 42
2.513, 24
2.242, 58
2.231, 100
2.198, 30

Crystal structure
Lattice parameters (Å, degrees): 6.792 6.792 6.792 82.63 82.63 82.63
Sites, in units of the cell vectors:
1 Tm 0.000 0.000 0.000
2 Pu 0.330 0.330 0.330
3 Zn 0.019 0.019 0.504
4 Zn 0.019 0.504 0.019
5 Zn 0.167 0.664 0.664
6 Zn 0.312 0.312 0.828
7 Zn 0.312 0.828 0.312
8 Zn 0.367 0.666 0.962
9 Zn 0.367 0.962 0.666
10 Zn 0.504 0.019 0.019
11 Zn 0.566 0.566 0.566
12 Zn 0.664 0.167 0.664
13 Zn 0.664 0.664 0.167
14 Zn 0.666 0.367 0.962
15 Zn 0.666 0.962 0.367
16 Zn 0.766 0.766 0.766
17 Zn 0.828 0.312 0.312
18 Zn 0.962 0.367 0.666
19 Zn 0.962 0.666 0.367


TmPu2Zn9: computed powder diffraction line list (Cu Ka), based on a GGA-PBE-relaxed structure.
Intensities are scaled so that the largest is 100.

Most intense lines, 2θ = 15–90°, in order of rising 2θ:
d [Å], I_rel
2.916, 40
2.675, 64
2.306, 27
2.282, 100
1.456, 25
1.337, 17

Crystal structure
Lattice parameters (Å, degrees): 9.286 9.286 9.286 33.47 33.47 33.47
Sites, in units of the cell vectors:
1 Tm 0.000 0.000 0.000
2 Pu 0.148 0.148 0.148
3 Pu 0.852 0.852 0.852
4 Zn 0.077 0.583 0.583
5 Zn 0.335 0.335 0.335
6 Zn 0.417 0.417 0.923
7 Zn 0.417 0.923 0.417
8 Zn 0.500 0.500 0.500
9 Zn 0.583 0.077 0.583
10 Zn 0.583 0.583 0.077
11 Zn 0.665 0.665 0.665
12 Zn 0.923 0.417 0.417
'''

### Work order
Print the lines further above up to the one that holds "2.675, 64", that line included, please.

### Solution
Y2Tm12Pu: computed powder diffraction line list (Cu Ka), based on a GGA-PBE-relaxed structure.
Intensities are scaled so that the largest is 100.

Most intense lines, 2θ = 15–90°, in order of rising 2θ:
d [Å], I_rel
4.212, 90
2.811, 77
2.733, 94
2.678, 100
2.492, 83
2.248, 88

Crystal structure
Lattice parameters (Å, degrees): 6.358 6.358 24.088 90.00 90.00 90.00
Sites, in units of the cell vectors:
1 Y 0.250 0.750 0.228
2 Y 0.250 0.750 0.772
3 Y 0.750 0.250 0.228
4 Y 0.750 0.250 0.772
5 Tm 0.000 0.000 0.396
6 Tm 0.000 0.000 0.604
7 Tm 0.000 0.500 0.396
8 Tm 0.000 0.500 0.604
9 Tm 0.081 0.581 0.062
10 Tm 0.081 0.919 0.938
11 Tm 0.250 0.250 0.162
12 Tm 0.250 0.250 0.291
13 Tm 0.250 0.250 0.709
14 Tm 0.250 0.250 0.838
15 Tm 0.419 0.581 0.938
16 Tm 0.419 0.919 0.062
17 Tm 0.500 0.000 0.396
18 Tm 0.500 0.000 0.604
19 Tm 0.500 0.500 0.396
20 Tm 0.500 0.500 0.604
21 Tm 0.581 0.081 0.938
22 Tm 0.581 0.419 0.062
23 Tm 0.750 0.750 0.162
24 Tm 0.750 0.750 0.291
25 Tm 0.750 0.750 0.709
26 Tm 0.750 0.750 0.838
27 Tm 0.919 0.081 0.062
28 Tm 0.919 0.419 0.938
29 Pu 0.250 0.750 0.500
30 Pu 0.750 0.250 0.500


Y8Tm4Pu: computed powder diffraction line list (Cu Ka), based on a GGA-PBE-relaxed structure.
Intensities are scaled so that the largest is 100.

Most intense lines, 2θ = 15–90°, in order of rising 2θ:
d [Å], I_rel
3.127, 17
2.985, 21
2.851, 100
2.717, 31
2.297, 35
1.818, 30

Crystal structure
Lattice parameters (Å, degrees): 9.890 9.890 9.890 43.14 43.14 43.14
Sites, in units of the cell vectors:
1 Y 0.204 0.743 0.743
2 Y 0.219 0.219 0.219
3 Y 0.257 0.257 0.796
4 Y 0.257 0.796 0.257
5 Y 0.743 0.204 0.743
6 Y 0.743 0.743 0.204
7 Y 0.781 0.781 0.781
8 Y 0.796 0.257 0.257
9 Tm 0.000 0.000 0.000
10 Tm 0.000 0.500 0.500
11 Tm 0.500 0.000 0.500
12 Tm 0.500 0.500 0.000
13 Pu 0.500 0.500 0.500


TmPuZn17: computed powder diffraction line list (Cu Ka), based on a GGA-PBE-relaxed structure.
Intensities are scaled so that the largest is 100.

Most intense lines, 2θ = 15–90°, in order of rising 2θ:
d [Å], I_rel
3.139, 38
2.589, 42
2.513, 24
2.242, 58
2.231, 100
2.198, 30

Crystal structure
Lattice parameters (Å, degrees): 6.792 6.792 6.792 82.63 82.63 82.63
Sites, in units of the cell vectors:
1 Tm 0.000 0.000 0.000
2 Pu 0.330 0.330 0.330
3 Zn 0.019 0.019 0.504
4 Zn 0.019 0.504 0.019
5 Zn 0.167 0.664 0.664
6 Zn 0.312 0.312 0.828
7 Zn 0.312 0.828 0.312
8 Zn 0.367 0.666 0.962
9 Zn 0.367 0.962 0.666
10 Zn 0.504 0.019 0.019
11 Zn 0.566 0.566 0.566
12 Zn 0.664 0.167 0.664
13 Zn 0.664 0.664 0.167
14 Zn 0.666 0.367 0.962
15 Zn 0.666 0.962 0.367
16 Zn 0.766 0.766 0.766
17 Zn 0.828 0.312 0.312
18 Zn 0.962 0.367 0.666
19 Zn 0.962 0.666 0.367


TmPu2Zn9: computed powder diffraction line list (Cu Ka), based on a GGA-PBE-relaxed structure.
Intensities are scaled so that the largest is 100.

Most intense lines, 2θ = 15–90°, in order of rising 2θ:
d [Å], I_rel
2.916, 40
2.675, 64